I consider myself a greenhorn morel hunter, even though I've been hunting the delicious mushrooms for 15 years. My first hunt took place on a warm and sunny day in early May. A friend took me to his land south of Brainerd and introduced me to the art of finding morels. We managed to locate enough of the rich, earthy-tasting mushrooms to make a pair of side dishes for supper that evening.
How to ... find your own morel mushrooms
What comes next are crystal structures, not part of the text:
=====
[1]
For HoErTlRh, a crystal structure in Alexandria, relaxed with GGA-PBE gives the calculated XRD peak list in this record (Cu Kα (weighted mean of Kα1 and Kα2)).
Kinematic intensities with the Lorentz-polarization factor, no thermal factor.

Structure:
```
data_HoErTlRh
_chemical_formula_sum 'Ho1 Er1 Tl1 Rh1'
_space_group_name_H-M_alt 'P 4 m m'
_space_group_IT_number 99
_space_group_name_Hall 'P 4 -2'
_cell_length_a 3.515
_cell_length_b 3.515
_cell_length_c 7.555
_cell_angle_alpha 90.00
_cell_angle_beta 90.00
_cell_angle_gamma 90.00
loop_
_atom_site_label
_atom_site_fract_x
_atom_site_fract_y
_atom_site_fract_z
_atom_site_occupancy
Ho1 0.000 0.000 0.000 1
Er1 0.000 0.000 0.430 1
Tl1 0.500 0.500 0.714 1
Rh1 0.500 0.500 0.218 1
```

The 8 most intense peaks (2θ from 5° to 70°), sorted by position:
28.00 deg, intensity 13
34.87 deg, intensity 100
36.14 deg, intensity 50
48.18 deg, intensity 7
51.67 deg, intensity 8
52.04 deg, intensity 18
61.68 deg, intensity 14
64.18 deg, intensity 34

[2]
For Ho2Er2Ru, a crystal structure in Alexandria, relaxed with GGA-PBE gives the calculated XRD peak list in this record (Cu Kα (weighted mean of Kα1 and Kα2)).
Kinematic intensities with the Lorentz-polarization factor, no thermal factor.

Structure:
```
data_Ho2Er2Ru
_chemical_formula_sum 'Ho8 Er8 Ru4'
_space_group_name_H-M_alt 'C 1 2/m 1'
_space_group_IT_number 12
_space_group_name_Hall '-C 2y'
_cell_length_a 7.305
_cell_length_b 11.765
_cell_length_c 7.240
_cell_angle_alpha 90.00
_cell_angle_beta 115.59
_cell_angle_gamma 90.00
loop_
_atom_site_label
_atom_site_fract_x
_atom_site_fract_y
_atom_site_fract_z
_atom_site_occupancy
Ho1 0.049 0.223 0.253 1
Er1 0.228 0.500 0.896 1
Er2 0.243 0.000 0.600 1
Ru1 0.000 0.373 0.500 1
```

The 8 most intense peaks (2θ from 5° to 70°), sorted by position:
30.39 deg, intensity 37
31.12 deg, intensity 100
31.33 deg, intensity 47
33.74 deg, intensity 71
36.41 deg, intensity 39
39.05 deg, intensity 26
42.52 deg, intensity 26
53.24 deg, intensity 19

[3]
For Ho4Er3Ru4, a crystal structure in Alexandria, relaxed with GGA-PBE gives the calculated XRD peak list in this record (Cu Kα (weighted mean of Kα1 and Kα2)).
Kinematic intensities with the Lorentz-polarization factor, no thermal factor.

Structure:
```
data_Ho4Er3Ru4
_chemical_formula_sum 'Ho8 Er6 Ru8'
_space_group_name_H-M_alt 'I m m m'
_space_group_IT_number 71
_space_group_name_Hall '-I 2 2'
_cell_length_a 3.497
_cell_length_b 8.813
_cell_length_c 16.226
_cell_angle_alpha 90.00
_cell_angle_beta 90.00
_cell_angle_gamma 90.00
loop_
_atom_site_label
_atom_site_fract_x
_atom_site_fract_y
_atom_site_fract_z
_atom_site_occupancy
Ho1 0.000 0.191 0.165 1
Er1 0.000 0.000 0.403 1
Er2 0.000 0.500 0.500 1
Ru1 0.000 0.277 0.000 1
Ru2 0.000 0.500 0.241 1
```

The 8 most intense peaks (2θ from 5° to 70°), sorted by position:
29.33 deg, intensity 21
30.44 deg, intensity 24
33.16 deg, intensity 100
34.75 deg, intensity 50
35.39 deg, intensity 62
37.82 deg, intensity 22
=====

I was hooked. A walk in the springtime forest and a culinary delight to boot.
For veteran mushroom hunters a perennial morel hot spot is a guarded secret. Hunters seem to get as much satisfaction from bragging about their mushrooming skills as they do from eating the delicious morels. But novices can also find morels. And searching is half the fun.
Morel mushrooms sprout during spring. They can be found throughout Minnesota in the coming days and weeks. The tasty mushrooms rely on sufficient spring rain and warm weather to grow. Once the ground has thawed, a good time to find morels is a day or two after a rainfall when the temperature reaches into the 70s.
I've located a few mushrooming hot spots in my years. But frankly, I've had equal luck finding the well-camouflaged mushrooms while exploring the springtime woods for other reasons. I once found a small patch of morels while searching for shed deer antlers. I've also uncovered morels while hunting wild turkeys. I've even spotted the mushrooms as I've slowly driven along country roads.
Bonus: The springtime woods are full of delightful surprises, apparent only to those who walk with eyes glued to the forest floor. One day I found a newborn white-tailed deer fawn, its spotted coat near perfect camouflage in the sunlight-dappled leaves. I've also discovered the nests of woodcock and ruffed grouse, both cryptic birds that blend with the forest floor while incubating their clutches of eggs.
_The entry is interrupted by crystal structures_
____________
# Ba3HoRu2O9
Simulated PXRD pattern, Cu Kα (λ = 1.5418 Å). Input: the PBE geometry in Alexandria.

Most intense lines, 10° ≤ 2θ ≤ 90°, by angle:
2θ = 25.20°, I 12; 2θ = 30.04°, I 100; 2θ = 43.01°, I 23; 2θ = 47.10°, I 10; 2θ = 53.34°, I 32; 2θ = 62.44°, I 15; 2θ = 70.83°, I 11; 2θ = 86.59°, I 18

Structure:
Cell: 5.951 5.951 14.562 Å, 90.00 90.00 120.00°
Fractional coordinates of all 30 atoms:
Ba  0.000  0.000  0.250
Ba  0.000  0.000  0.750
Ba  0.333  0.667  0.094
Ba  0.333  0.667  0.406
Ba  0.667  0.333  0.594
Ba  0.667  0.333  0.906
Ho  0.000  0.000  0.000
Ho  0.000  0.000  0.500
Ru  0.333  0.667  0.664
Ru  0.333  0.667  0.836
Ru  0.667  0.333  0.164
Ru  0.667  0.333  0.336
O  0.019  0.510  0.750
O  0.176  0.352  0.588
O  0.176  0.352  0.912
O  0.176  0.824  0.588
O  0.176  0.824  0.912
O  0.352  0.176  0.088
O  0.352  0.176  0.412
O  0.490  0.510  0.750
O  0.490  0.981  0.750
O  0.510  0.019  0.250
O  0.510  0.490  0.250
O  0.648  0.824  0.588
O  0.648  0.824  0.912
O  0.824  0.176  0.088
O  0.824  0.176  0.412
O  0.824  0.648  0.088
O  0.824  0.648  0.412
O  0.981  0.490  0.250

=====

# PmDyCl6
Simulated PXRD pattern, Cu Kα (λ = 1.5418 Å). Input: the PBE geometry in Alexandria.

Most intense lines, 10° ≤ 2θ ≤ 90°, by angle:
2θ = 17.79°, I 100; 2θ = 24.35°, I 38; 2θ = 29.90°, I 19; 2θ = 36.03°, I 19; 2θ = 39.26°, I 44; 2θ = 41.61°, I 20; 2θ = 46.12°, I 20; 2θ = 57.14°, I 19

Structure:
Cell: 7.349 7.349 7.349 Å, 55.27 55.27 55.27°
Fractional coordinates of all 8 atoms:
Pm  0.000  0.000  0.000
Dy  0.500  0.500  0.500
Cl  0.108  0.401  0.745
Cl  0.255  0.892  0.599
Cl  0.401  0.745  0.108
Cl  0.599  0.255  0.892
Cl  0.745  0.108  0.401
Cl  0.892  0.599  0.255

=====

# Ac2Ga12Ag
Simulated PXRD pattern, Cu Kα (λ = 1.5418 Å). Input: the PBE geometry in Alexandria.

Most intense lines, 10° ≤ 2θ ≤ 90°, by angle:
2θ = 19.59°, I 14; 2θ = 30.15°, I 100; 2θ = 36.22°, I 25; 2θ = 39.80°, I 58; 2θ = 40.25°, I 11; 2θ = 50.74°, I 34; 2θ = 57.54°, I 17; 2θ = 66.35°, I 25

Structure:
Cell: 6.409 6.409 15.664 Å, 90.00 90.00 90.00°
Fractional coordinates of all 30 atoms:
Ac  0.250  0.750  0.247
Ac  0.250  0.750  0.753
Ac  0.750  0.250  0.247
Ac  0.750  0.250  0.753
Ga  0.000  0.000  0.089
Ga  0.000  0.000  0.911
Ga  0.000  0.500  0.089
Ga  0.000  0.500  0.911
Ga  0.072  0.572  0.431
Ga  0.072  0.928  0.569
Ga  0.250  0.250  0.180
Ga  0.250  0.250  0.344
Ga  0.250  0.250  0.656
Ga  0.250  0.250  0.820
Ga  0.428  0.572  0.569
Ga  0.428  0.928  0.431
Ga  0.500  0.000  0.089
Ga  0.500  0.000  0.911
Ga  0.500  0.500  0.089
Ga  0.500  0.500  0.911
Ga  0.572  0.072  0.569
Ga  0.572  0.428  0.431
Ga  0.750  0.750  0.180
Ga  0.750  0.750  0.344
Ga  0.750  0.750  0.656
Ga  0.750  0.750  0.820
Ga  0.928  0.072  0.431
Ga  0.928  0.428  0.569
Ag  0.250  0.750  0.000
Ag  0.750  0.250  0.000

=====

# Ba2PaHgS5
Simulated PXRD pattern, Cu Kα (λ = 1.5418 Å). Input: the PBE geometry in Alexandria.

Most intense lines, 10° ≤ 2θ ≤ 90°, by angle:
____________
In central Minnesota, look for morels to grow in aspen and ash lowlands, particularly near cleared areas. Sometimes morels will even grow in shallow water, especially during a dry spring. I've had the best luck finding morels where ferns and jack-in-the-pulpit grow.
Southeastern Minnesota is famous for its abundant crops of large, flavorful morels. Local experts advise that the mushrooms "pop" beneath dead elm trees.
How does one prepare morel mushrooms?
Upon arriving home with my rewards, I rinse the morels in cold water and slice them in half the long way. If you are lucky enough to collect more morels than you can eat, they can be dried in a food dehydrator and stored in an airtight container for later use.
There are many delicious recipes, but I prefer to simply sauté them in butter. I add only a touch of seasoning — I don't want to hide the natural flavor of morels.
Bill Marchel, an outdoors writer and photographer, lives near Brainerd.